********
Entry 1:
Computed, not measured: a molecular structure, C24H27N7O2PPbS, with ωB97M-V/def2-TZVPD.

Positions of all 63 atoms, in Å:
C  2.304  2.566  -3.247
C  -1.832  -2.048  3.695
C  1.001  1.671  -5.050
S  -2.194  -2.369  -0.270
C  0.592  0.687  -4.185
H  4.887  -1.297  -2.680
H  -1.039  -2.085  4.431
N  0.970  0.624  -2.901
C  1.760  0.250  0.898
H  2.280  3.395  -5.212
N  2.135  1.483  -1.080
H  0.459  0.580  4.523
H  -5.413  1.212  -0.243
N  -3.689  0.138  -0.516
H  3.142  -1.370  -2.933
O  -3.331  -2.868  -0.971
H  -0.084  -0.094  -4.519
H  -2.200  3.111  -2.346
C  -3.886  -1.986  1.815
C  1.890  2.625  -4.559
C  -2.473  0.162  -1.050
H  2.694  2.525  0.631
C  -4.179  -1.845  3.152
H  3.958  2.501  -0.612
N  2.192  0.177  -0.499
H  -4.668  -1.978  1.068
C  -1.537  -2.190  2.357
H  -0.153  0.989  0.312
H  4.013  0.181  -3.051
C  -3.158  -1.866  4.113
H  2.626  -2.656  -0.636
N  -3.449  -1.686  5.439
C  -4.418  1.238  -0.672
H  3.030  3.269  -2.870
H  -5.207  -1.726  3.471
C  2.880  2.559  -0.440
H  3.637  -0.307  1.807
C  0.825  0.491  3.509
C  -2.563  -2.153  1.416
O  -0.942  -3.138  -0.343
P  3.872  -0.517  -0.703
C  2.604  -0.024  1.967
N  -1.655  -0.949  -0.924
H  2.499  3.507  -0.809
C  -3.949  2.357  -1.337
H  -0.517  -2.355  2.039
C  1.797  1.555  -2.417
Pb  0.425  -1.432  -1.601
H  4.378  -2.850  -0.520
C  3.947  -0.765  -2.516
H  -2.759  -1.941  6.123
C  2.127  0.080  3.268
C  -0.001  0.809  2.440
N  -1.906  1.189  -1.690
C  0.468  0.690  1.142
H  -4.406  -1.766  5.736
H  -1.015  1.147  2.612
H  2.791  -0.143  4.093
C  -2.657  2.276  -1.826
H  -4.551  3.244  -1.462
H  3.462  -2.328  0.893
C  3.533  -2.244  -0.189
H  0.651  1.688  -6.071

Total charge ... +1
Highest occupied orbital energy ... -10.50 eV
Energy relative to the best compared isomer or geometry (same formula, charge and spin) ... 9.11 kcal/mol
E_tot ... -65218.44799 eV
Multiplicity ... 1

In elementary charge units, the Löwdin charges are: -0.003 -0.029 -0.049 0.584 -0.141 0.052 0.113 -0.037 -0.324 0.121 -0.144 0.112 0.118 0.144 0.015 -0.257 0.115 0.112 -0.057 -0.035 -0.482 0.093 -0.014 0.088 -0.317 0.114 -0.067 0.090 0.037 -0.307 -0.023 0.121 -0.098 0.109 0.117 -0.031 0.076 -0.073 -0.310 -0.484 0.944 -0.070 -0.283 0.097 -0.045 0.112 -0.322 1.506 0.056 -0.280 0.100 -0.054 -0.060 0.111 -0.051 0.101 0.120 0.114 -0.119 0.104 0.036 -0.282 0.113

=====

Entry 2:
Computed, not measured: 2 unconnected molecules or ions with the total composition C8H14N2O2 at a distorted geometry, with ωB97M-V/def2-TZVPD.

Positions of all 26 atoms, in Å:
H  0.140  -1.229  -1.775
H  1.893  1.310  -1.203
C  -0.508  -0.127  -0.114
H  2.360  -0.237  -0.716
H  -0.128  0.806  2.275
H  -1.839  -2.138  1.217
N  -1.525  0.529  0.238
H  -0.550  -2.744  0.133
H  -0.436  0.029  -3.738
H  0.985  -1.294  0.851
C  -0.804  -2.319  1.069
H  -1.686  0.341  -2.592
C  0.133  -0.215  -1.491
H  -1.187  -0.713  2.709
H  2.127  -0.035  -2.396
O  1.146  4.142  1.589
C  0.945  3.118  1.110
O  0.786  2.088  0.623
N  -2.298  1.266  0.556
H  -0.482  -2.984  1.902
H  0.618  -0.628  3.060
C  -0.233  -0.248  2.468
C  -0.051  -0.987  1.014
C  -0.616  0.466  -2.717
H  -0.432  1.578  -2.622
C  1.640  0.225  -1.449

Highest occupied orbital energy ... -7.56 eV
Energy relative to the best compared isomer or geometry (same formula, charge and spin) ... 42.39 kcal/mol
E_tot ... -15595.95170 eV
Multiplicity ... 1

In elementary charge units, the Löwdin charges are: 0.099 0.075 -0.300 0.080 0.032 0.064 -0.111 0.060 0.088 0.122 -0.076 0.055 -0.312 0.064 0.069 0.231 -0.391 0.182 0.218 0.096 0.081 -0.022 -0.351 -0.057 0.090 -0.087

=====

Entry 3:
Computed, not measured: 2 unconnected molecules or ions with the total composition C2H8N4 at a distorted geometry, with ωB97M-V/def2-TZVPD.

Positions of all 14 atoms, in Å:
H  0.813  -2.224  2.496
H  -0.449  -1.833  -0.089
C  -0.113  2.044  -1.334
H  -0.369  0.393  -2.493
H  -1.003  -1.243  3.205
N  0.381  -1.870  0.467
C  0.098  -1.756  1.815
N  0.426  2.914  -2.191
********
Count the lines earlier on that contain the word "in" and give the number alone, please.
3